Taking a step in bonding

[A/N: Some chapters will have different points of view in them. Each chapter will only have a max. of 2 POVs unless it is a big chapter….]

--------------------------------(MC POV)----------------------------------------

We continued the rest of the day, going through the forest. Thomas, before we went on our journey to Glester, the port city that would take us to Vale, informed me that he knew where to go. The little human seemed extremely confident in his ability to lead us to where we needed to go. I did not say anything to him because I did not know where I was, to begin with. Amber was just about as clueless as to where we were as I was; finally, Jocelyn said happily that she would follow her brother. It was an interesting walk in the woods that would probably make some humans proud. The little humans were excited initially but quickly got upset, annoyed, and other emotions during our travel. We only had been walking for about five hours, but Jocelyn needed to take a break multiple times. Which caused Thomas to be upset at her for making us, in his words, "Short on time"; whatever that meant. Speaking of Thomas, I was starting to question where he was taking us. I could not help but noticed the same tree and a couple of other things that looked…. similar. When I had questioned him about it, he said, and I quote, "I know where I am going!"; I questioned him no further after that. Amber…the poor little human looked like a frightened animal after the first couple of hours. This was due to the usual sounds of my kind, wild animals, and other unknown sounds in the woods. I am sure that the events that had transpired did not help, nor did me being Grimm. What started as an exciting journey turned into a chaotic one before I even knew it. The constant irritation that I felt when around negative emotions was ever-present during our journey. The last hour of our travel, I was close to just killing them. Thomas hated that he did not know where to go. Jocelyn was depressed that her brother was mad at her and a little lonely. Amber felt nothing but hatred towards me; not only that, but she also felt lonely. After a while, I could not take it and said that we would make a nest where we were. The little humans were fine with my decision, thankfully because if not…. I could not help but wonder what I would do. Where the other day went with nice and lovely humans went to I will never know.

[A/N: Our poor MC does not understand kids, and the little patients they have….speaking as a parent myself.]

It did not take long for us to find a big enough tree to fit us; it also did not take me long to make a hold in the tree to sleep. I was at my last nerve with the little humans during our small travel and wanted nothing more than to have the day done with. I questioned myself repeatedly on why I was helping them. Was this a bad choice to make? That thought kept playing in my head continuously during the whole day. When I was done taking my small rage out on the tree, I turn towards the little humans to find conflict….again….

"Just admit it, you are lost…we have been walking through this damn place filled with monsters for HOURS!" said Amber to Thomas while her arms were crossed.

"That is not true. My father taught me how to read a map…not only that, but we have the scroll, so I know where to go," yelled Thomas.

"A freaking scroll without good signal, that thing is less reliable than you are."

"Brother….big sister…I think that maybe we should stop fighting…..Keeva seemed really upset with us." Said Jocelyn in a soft voice.

"Oh, do not get me started on that Grimm…."

"Why do you hate Keeva…he has done nothing to pr-

"ENOUGH," I roared at them; I was putting my paws down on this. (A/N: HAHA…a little joke, cause instead of feet, he has paws)

How their parents were able to deal with these little humans was beyond me. At this point, I wanted to take them and throw them to the nearest human and be done with it.

"I do not know, nor do I care why you are arguing, but that needs to stop now. We are going to eat, clean up, and GO TO SLEEP. We will figure out things tomorrow morning, after our training. Do you understand?"

They all had their heads down and said, "Yes." I was happy with that. Now when they were sleeping, I could relax. We got the supplies ready for the night, made a fire, and they ate their food. I had calmed down enough to realize that maybe I was…. wrong to yell at them. I felt bad about it now that everything was calm. Sighing to myself, I spoke to them first.

"Little ones, I am sorry for yelling at you. You have to understand that negative emotions bother me. It is an irritation that does not go away but only gets worse. I did not mean anything by yelling at you."

"I am sorry too, I…I…may not know where I am going; also sorry for yelling at you guys," Said Thomas.

"Yeah, I am sorry too for yelling at you, Thomas, and you as well, Keeva…. you have helped a lot by saving us, being with us the whole day yesterday, and traveling with us….I am sorry about…hating you. I still do not like Grimm, but I guess you are not too bad." Said, Amber

"Oh me, I am sorry…for….taking breaks…" We all laughed at Jocelyn's comment, she seemed a little upset about it, so I had to inform her quickly.

"It is okay to take breaks. You are a little human after all."

With that, we continued our small little meal, well, with me not eating. I was happy to see the little ones happy as well. When they finished their meals, it was already dark; the only light was the fire that had been set up. Putting out the fire, and making my way towards the tree I told the humans to come insides, and they did as they were told. It took us a while to get comfortable, but they quickly fell asleep when the little ones did. Looking at them sleeping, I could not help but feel tired but could not sleep. I realized that I did not know much about how to take care of the little humans. I decided that I would learn, so carefully getting the scroll from the bag that we brought in the tree, I was able to find it.

(Inserted here: data records)
- - -
Record 1
This entry pairs a crystal structure of BaCrSn3 with its computed powder XRD pattern. Radiation: a wavelength of 1.5418 Å. Structure: a structure optimized by DFT (PBE).
No peak broadening, texture or thermal motion is included.

Unit cell a=5.0422 b=5.0422 c=6.5469 alpha=112.63 beta=112.63 gamma=89.96
Fractional coordinates of all 5 atoms:
Ba 0.0000 0.0000 0.0000
Cr 0.6792 0.6792 0.3591
Sn 0.2437 0.7437 0.4881
Sn 0.4496 0.4496 0.8986
Sn 0.7437 0.2437 0.4881

Largest 6 diffraction maxima, by angle, 10 to 90 degrees two-theta:
d 2.991, intensity 100.0; d 2.747, intensity 20.6; d 2.521, intensity 49.4; d 1.857, intensity 26.5; d 1.783, intensity 17.5; d 1.531, intensity 28.5

=====

Record 2
This entry pairs a crystal structure of Hf6FeHg3 with its computed powder XRD pattern. Radiation: a wavelength of 1.5418 Å. Structure: a structure optimized by DFT (PBE).
No peak broadening, texture or thermal motion is included.

Unit cell a=6.1314 b=6.1314 c=6.8711 alpha=102.01 beta=102.01 gamma=62.54
Fractional coordinates of all 10 atoms:
Hf 0.1356 0.6373 0.6521
Hf 0.3408 0.3408 0.1607
Hf 0.3627 0.8644 0.3479
Hf 0.6373 0.1356 0.6521
Hf 0.6592 0.6592 0.8393
Hf 0.8644 0.3627 0.3479
Fe 0.5000 0.5000 0.5000
Hg 0.0000 0.0000 0.0000
Hg 0.1724 0.1724 0.7387
Hg 0.8276 0.8276 0.2613

Largest 6 diffraction maxima, by angle, 10 to 90 degrees two-theta:
d 2.872, intensity 47.7; d 2.621, intensity 79.9; d 2.594, intensity 50.7; d 2.520, intensity 66.8; d 2.395, intensity 100.0; d 2.244, intensity 64.1

=====

Record 3
This entry pairs a crystal structure of Th2Ga5Au3 with its computed powder XRD pattern. Radiation: a wavelength of 1.5418 Å. Structure: a structure optimized by DFT (PBE).
No peak broadening, texture or thermal motion is included.

Unit cell a=8.7084 b=8.7084 c=8.7084 alpha=104.98 beta=89.87 gamma=138.06
Fractional coordinates of all 20 atoms:
Th 0.1271 0.2364 0.3635
Th 0.3729 0.7364 0.1092
Th 0.6271 0.2636 0.8908
Th 0.8729 0.7636 0.6365
Ga 0.0183 0.7500 0.2683
Ga 0.1177 0.6465 0.7642
Ga 0.2500 0.2500 0.0000
Ga 0.3823 0.1465 0.5288
Ga 0.4817 0.7500 0.7317
Ga 0.5183 0.2500 0.2683
Ga 0.6177 0.8535 0.4712
Ga 0.7500 0.7500 0.0000
Ga 0.8823 0.3535 0.2358
Ga 0.9817 0.2500 0.7317
Au 0.1341 0.8811 0.0152
Au 0.2500 0.7500 0.5000
Au 0.3659 0.3811 0.7470
Au 0.6341 0.6189 0.2530
Au 0.7500 0.2500 0.5000
Au 0.8659 0.1189 0.9848

Largest 6 diffraction maxima, by angle, 10 to 90 degrees two-theta:
d 2.752, intensity 100.0; d 2.687, intensity 57.2; d 2.665, intensity 52.8; d 2.192, intensity 80.0; d 1.909, intensity 34.3; d 1.720, intensity 25.5

=====

Record 4
This entry pairs a crystal structure of Pm6Nd2Mg with its computed powder XRD pattern. Radiation: a wavelength of 1.5418 Å. Structure: a structure optimized by DFT (PBE).
No peak broadening, texture or thermal motion is included.

Unit cell a=10.8136 b=10.8136 c=5.1451 alpha=90.00 beta=90.00 gamma=90.00
Fractional coordinates of all 18 atoms:
Pm 0.0005 0.3324 0.0000
Pm 0.1663 0.1663 0.5000
- - -

I decided to learn what I found was called….Parenting.